There are a number of different program structures that are commonly used to ensure that new market-rate real estate development helps create housing for people at a range of income levels.
Inclusionary Program Types

Traditional Inclusionary Housing
Traditional inclusionary housing programs can be grouped by the type of program (voluntary or mandatory) and development type (homeownership, rental, or both). The distinction between mandatory and voluntary programs lies in whether developers can choose to opt out of the program. In other words, they are required to provide affordable housing in the former and may choose to provide affordable housing in the latter.
A 2021 study found that mandatory programs far outnumber voluntary programs; there are two-and-a-half times as many mandatory programs as voluntary programs. Also, nine out of 10 programs apply to both for-sale and rental developments (Wang and Balachandran, 2021).
Most of these programs are structured as land use requirements. They may allow payment of a fee “in lieu” of providing units on site, but the primary legal requirement is the provision of on-site units.

Negotiated Agreements
Even in communities with no formal inclusionary housing policy, planning commissions or city councils sometimes require provision of affordable housing in high-profile projects. Continue reading

-- Inserted here: records of crystals --
=====
No. 1
Computed, not measured: a relaxed Li3Bi2P3O12 crystal at the PBE level of DFT.

## Properties
**Space group**: P2_1/c
**ρ**: 4.229 g/cm3
**Distance to the lowest polymorph of the same formula**: 0 meV/atom
**E_form**: -2.513 eV/atom
**Crystal system**: monoclinic

```
Li3Bi2P3O12
1.0
-5.4599 4.0188 6.2686
0.1151 -7.7189 5.0488
10.8717 -3.0080 11.3975
P O Bi Li
12 48 8 12
direct
0.5852 0.2650 0.3363
0.3919 0.0583 0.8391
0.4148 0.7350 0.6637
0.9148 0.2650 0.8363
0.6081 0.9417 0.1609
0.8919 0.9417 0.6609
0.7591 0.5791 0.4914
0.0852 0.7350 0.1637
0.2591 0.4209 0.0086
0.2409 0.4209 0.5086
0.7409 0.5791 0.9914
0.1081 0.0583 0.3391
0.6512 0.4279 0.5408
0.0921 0.8915 0.1762
0.3895 0.9024 0.9502
0.6664 0.5889 0.0753
0.8943 0.7660 0.6680
0.8718 0.5662 0.4238
0.2720 0.6302 0.7010
0.4079 0.8915 0.6762
0.1664 0.4111 0.4247
0.6057 0.7660 0.1680
0.9754 0.0446 0.2840
0.5526 0.2000 0.4455
0.6105 0.0976 0.0498
0.3488 0.5721 0.4592
0.0526 0.8000 0.0545
0.1805 0.2419 0.0791
0.9079 0.1085 0.8238
0.3943 0.2340 0.8320
0.1057 0.2340 0.3320
0.4550 0.3800 0.2679
0.4474 0.8000 0.5545
0.6282 0.5662 0.9238
0.5246 0.0446 0.7840
0.7534 0.9463 0.2098
0.1512 0.5721 0.9592
0.5450 0.6200 0.7321
0.0450 0.3800 0.7679
0.1105 0.9024 0.4502
0.8895 0.0976 0.5498
0.8195 0.7581 0.9209
0.8336 0.5889 0.5753
0.0246 0.9554 0.7160
0.4754 0.9554 0.2160
0.1282 0.4338 0.5762
0.8488 0.4279 0.0408
0.3718 0.4338 0.0762
0.9474 0.2000 0.9455
0.7280 0.3698 0.2990
0.3195 0.2419 0.5791
0.2280 0.6302 0.2010
0.7720 0.3698 0.7990
0.7466 0.9463 0.7098
0.5921 0.1085 0.3238
0.2534 0.0537 0.2902
0.2466 0.0537 0.7902
0.9550 0.6200 0.2321
0.3336 0.4111 0.9247
0.6805 0.7581 0.4209
0.4460 0.8382 0.4030
0.4413 0.6553 0.1040
0.5587 0.3447 0.8960
0.5540 0.1618 0.5970
0.0540 0.8382 0.9030
0.9413 0.3447 0.3960
0.0587 0.6553 0.6040
0.9460 0.1618 0.0970
0.4049 0.2314 0.2130
0.2658 0.0060 0.1830
0.7342 0.9940 0.8170
0.5951 0.7686 0.7870
0.2649 0.3957 0.3199
0.0951 0.2314 0.7130
0.2351 0.3957 0.8199
0.9049 0.7686 0.2870
0.2342 0.0060 0.6830
0.7351 0.6043 0.6801
0.7649 0.6043 0.1801
0.7658 0.9940 0.3170
```

No. 2
Computed, not measured: a relaxed CsTaPS6 crystal at the PBE level of DFT.

## Properties
**Space group**: P2_1/c
**ρ**: 3.448 g/cm3
**E_form**: -1.105 eV/atom
**Crystal system**: monoclinic

```
CsTaPS6
1.0
13.2880 0.0000 0.0000
0.0000 8.9404 0.0000
0.0000 2.8467 17.4205
P Cs S Ta
8 8 48 8
direct
0.2446 0.7792 0.4934
0.2370 0.2968 0.6797
0.7554 0.2208 0.5066
0.2630 0.2968 0.1797
0.7630 0.7032 0.3203
0.7370 0.7032 0.8203
0.2554 0.7792 0.9934
0.7446 0.2208 0.0066
0.8909 0.3096 0.7191
0.3909 0.6904 0.7809
0.6091 0.3096 0.2191
0.4382 0.8415 0.1765
0.1091 0.6904 0.2809
0.5618 0.1585 0.8235
0.9382 0.1585 0.3235
0.0618 0.8415 0.6765
0.8411 0.6053 0.2393
0.1434 0.2506 0.5943
0.0534 0.0225 0.8422
0.8436 0.6649 0.5986
0.2933 0.1093 0.7513
0.7933 0.8907 0.7487
0.2998 0.8592 0.5838
0.3458 0.6492 0.4408
0.1542 0.6492 0.9408
0.1855 0.9534 0.4126
0.6349 0.3855 0.9805
0.1589 0.3947 0.7607
0.1531 0.4286 0.1236
=====
-- The text goes on --

Voluntary Programs
Instead of mandating affordable housing and offering incentives to offset some of the cost, some programs offer incentives to developers that voluntarily provide affordable units. Continue reading

Unrelated to this piece: data records =
┌──
Sr25Cl52 after structural relaxation, computed with PBE-GGA.

Summary:
The calculation puts the energy above the lowest structure with this stoichiometry at 596 meV/atom. The calculation puts the total energy at -3.58 eV/atom. For the formation enthalpy at 0 K, the calculation gives -2198 meV per atom.

Unit cell a=8.654 b=13.238 c=20.645 alpha=108.65 beta=94.03 gamma=96.25
Element x y z (fractional)
Cl  0.754  0.993  0.750
Cl  0.019  0.800  0.188
Cl  0.050  0.000  0.650
Cl  0.851  0.000  0.050
Cl  0.631  0.800  0.990
Cl  0.010  0.599  0.730
Cl  0.610  0.600  0.530
Cl  0.246  0.007  0.250
Cl  0.090  0.400  0.570
Cl  0.350  0.000  0.550
Cl  0.470  0.200  0.309
Cl  0.950  0.000  0.350
Cl  0.109  0.599  0.030
Cl  0.327  0.800  0.084
Cl  0.690  0.400  0.370
Cl  0.741  0.800  0.292
Cl  0.230  0.801  0.789
Cl  0.870  0.199  0.510
Cl  0.170  0.200  0.410
Cl  0.530  0.800  0.691
Cl  0.891  0.401  0.970
Cl  0.830  0.800  0.590
Cl  0.070  0.200  0.110
Cl  0.556  0.007  0.147
Cl  0.149  0.000  0.950
Cl  0.770  0.199  0.211
Cl  0.711  0.600  0.830
Cl  0.204  0.593  0.333
Cl  0.310  0.600  0.630
Cl  0.910  0.600  0.430
Cl  0.433  0.800  0.396
Cl  0.796  0.407  0.667
Cl  0.289  0.400  0.170
Cl  0.930  0.800  0.890
Cl  0.567  0.200  0.604
Cl  0.486  0.407  0.770
Cl  0.369  0.200  0.010
Cl  0.650  0.000  0.450
Cl  0.380  0.800  0.240
Cl  0.981  0.200  0.812
Cl  0.390  0.400  0.470
Cl  0.620  0.200  0.760
Cl  0.590  0.400  0.070
Cl  0.410  0.600  0.930
Cl  0.444  0.993  0.853
Cl  0.190  0.400  0.870
Cl  0.673  0.200  0.916
Cl  0.990  0.401  0.270
Cl  0.810  0.600  0.130
Cl  0.514  0.593  0.230
Cl  0.130  0.801  0.490
Cl  0.259  0.200  0.708
Sr  0.760  0.601  0.980
Sr  0.276  0.796  0.939
Sr  0.963  0.603  0.578
Sr  0.481  0.800  0.543
Sr  0.519  0.200  0.457
Sr  0.839  0.399  0.820
Sr  0.088  0.800  0.340
Sr  0.161  0.601  0.180
Sr  0.912  0.200  0.660
Sr  0.401  0.002  0.700
Sr  0.724  0.204  0.061
Sr  0.200  0.999  0.100
Sr  0.000  0.000  0.500
Sr  0.882  0.796  0.740
Sr  0.559  0.601  0.380
Sr  0.441  0.399  0.620
Sr  0.037  0.397  0.422
Sr  0.240  0.399  0.020
Sr  0.118  0.204  0.260
Sr  0.800  0.001  0.900
Sr  0.599  0.998  0.300
Sr  0.358  0.603  0.780
Sr  0.328  0.200  0.861
Sr  0.642  0.397  0.220
Sr  0.672  0.800  0.139

----------

Record 1
MgB4O16, optimized geometry, DFT GGA-PBE; total DFT energy (no corrections) = -5.645 eV per atom; total energy after the MP2020 corrections = -5.77 eV per atom; ΔE to the lowest computed polymorph = 410 meV/atom; formation enthalpy at 0 K = -0.6492 eV per atom; density = 2.1 g/cm3
1.0
13.420 0.000 0.000
0.000 6.334 0.000
0.000 2.163 11.905
O B Mg
64 16 4
Direct
0.253 0.360 0.774
0.785 0.875 0.025
0.001 0.795 0.362
0.999 0.205 0.638
0.162 0.622 0.856
0.570 0.198 0.392
0.930 0.198 0.892
0.349 0.309 0.949
0.545 0.570 0.368
0.075 0.356 0.781
0.255 0.562 0.990
0.430 0.802 0.608
0.715 0.875 0.525
0.747 0.640 0.226
0.338 0.622 0.356
0.780 0.176 0.760
0.986 0.067 0.143
0.755 0.438 0.510
0.885 0.187 0.416
0.089 0.182 0.289
└──

Geographically Targeted Programs
Instead of applying inclusionary requirements throughout a jurisdiction, some programs apply only in targeted areas or impose different requirements in different neighborhoods. Continue reading

What comes next are calculated crystals, not part of the entry:
____________
# 1
This record from Materials Project describes an optimized crystal structure of MnGa2Se4. The functional is PBE-GGA.

Cell lengths 7.0536, 7.0536, 7.0536 Å; angles 133.55, 133.55, 67.80 degrees
Last column: nearest neighbours and their distance in Å.
Fractional coordinates of all 7 atoms:
Mn  0.0000  0.0000  0.0000  4 Se 2.54
Ga  0.7500  0.2500  0.5000  4 Se 2.47
Ga  0.2500  0.7500  0.5000  4 Se 2.47
Se  0.8576  0.3887  0.0000  2 Ga 2.47, 1 Mn 2.54
Se  0.3887  0.8576  0.0000  2 Ga 2.47, 1 Mn 2.54
Se  0.1424  0.1424  0.5311  2 Ga 2.47, 1 Mn 2.54
Se  0.6113  0.6113  0.4689  2 Ga 2.47, 1 Mn 2.54

Results
- Volume: 181 Å³/f.u.
- Polymorph energy (0 for the lowest one): 0.011 eV/atom


# 2
This record from Materials Project describes an optimized crystal structure of YLuZn2. The functional is PBE-GGA.

Cell lengths 5.0121, 5.0121, 5.0121 Å; angles 60.00, 60.00, 60.00 degrees
Last column: nearest neighbours and their distance in Å.
Fractional coordinates of all 4 atoms:
Y  0.0000  0.0000  0.0000  8 Zn 3.07
Lu  0.5000  0.5000  0.5000  8 Zn 3.07
Zn  0.2500  0.2500  0.2500  4 Y 3.07, 4 Lu 3.07
Zn  0.7500  0.7500  0.7500  4 Y 3.07, 4 Lu 3.07

Results
- Volume: 89 Å³/f.u.


# 3
This record from Materials Project describes an optimized crystal structure of LiBH5N. The functional is PBE-GGA.

Cell lengths 5.1942, 7.1392, 14.0334 Å; angles 90.00, 90.00, 90.00 degrees
Last column: nearest neighbours and their distance in Å.
Fractional coordinates of all 64 atoms:
Li  0.0642  0.4513  0.1773  5 H 1.99-2.20, 1 N 2.03
Li  0.9358  0.9513  0.3227  5 H 1.99-2.20, 1 N 2.03
Li  0.4358  0.5487  0.6773  5 H 1.99-2.20, 1 N 2.03
Li  0.5642  0.0487  0.8227  5 H 1.99-2.20, 1 N 2.03
Li  0.9358  0.5487  0.8227  5 H 1.99-2.20, 1 N 2.03
Li  0.0642  0.0487  0.6773  5 H 1.99-2.20, 1 N 2.03
Li  0.5642  0.4513  0.3227  5 H 1.99-2.20, 1 N 2.03
Li  0.4358  0.9513  0.1773  5 H 1.99-2.20, 1 N 2.03
B  0.5332  0.5949  0.1539  3 H 1.23-1.25
B  0.4668  0.0949  0.3461  3 H 1.23-1.25
B  0.9668  0.4051  0.6539  3 H 1.23-1.25
B  0.0332  0.9051  0.8461  3 H 1.23-1.25
B  0.4668  0.4051  0.8461  3 H 1.23-1.25
B  0.5332  0.9051  0.6539  3 H 1.23-1.25
B  0.0332  0.5949  0.3461  3 H 1.23-1.25
B  0.9668  0.0949  0.1539  3 H 1.23-1.25
H  0.3547  0.6775  0.1120  1 B 1.25
H  0.6453  0.1775  0.3880  1 B 1.25
H  0.1453  0.3225  0.6120  1 B 1.25
H  0.8547  0.8225  0.8880  1 B 1.25
H  0.6453  0.3225  0.8880  1 B 1.25
H  0.3547  0.8225  0.6120  1 B 1.25
H  0.8547  0.6775  0.3880  1 B 1.25
H  0.1453  0.1775  0.1120  1 B 1.25
H  0.5846  0.6856  0.2263  1 B 1.23
H  0.4154  0.1856  0.2737  1 B 1.23
H  0.9154  0.3144  0.7263  1 B 1.23
H  0.0846  0.8144  0.7737  1 B 1.23
H  0.4154  0.3144  0.7737  1 B 1.23
H  0.5846  0.8144  0.7263  1 B 1.23
H  0.0846  0.6856  0.2737  1 B 1.23
H  0.9154  0.1856  0.2263  1 B 1.23
H  0.4470  0.4411  0.1803  1 B 1.24
H  0.5530  0.9411  0.3197  1 B 1.24
H  0.0530  0.5589  0.6803  1 B 1.24
H  0.9470  0.0589  0.8197  1 B 1.24
H  0.5530  0.5589  0.8197  1 B 1.24
____________
End of the calculated crystals:

Linkage Fee Programs
Instead of requiring on-site units and allowing payment of a fee as an alternative, some programs are structured to simply require payment of a fee directly. Continue reading
Common Questions
An increasingly popular alternative to inclusionary housing programs is to charge a housing development impact fee on new residential development to pay for affordable housing. Typically, fee revenue is deposited in a housing trust fund and used to facilitate construction of additional units for low- and moderate-income households or to achieve other affordable housing goals.
There are some advantages to housing impact fees. In many states that prohibit mandatory inclusionary housing programs, it is permissible to charge fees. Additionally, housing development impact fees have the same advantages as in-lieu fees: they offer flexibility and can be used to leverage other sources of funding, like Federal Low Income Housing Tax Credits. They also face some of the same challenges. For example it is important to make sure the money is not spent primarily in low-income neighborhoods.
To enact a housing development impact fee, cities must first conduct a nexus study that shows the relationship between new housing or jobs and the need for affordable housing. While a nexus study documents the maximum legal fee, a second study, called a feasibility study shows what fee levels will not adversely impact development.
The legal environment is different in every state and it changes rapidly. It is important to consult with an attorney to fully understand if housing development impact fees are permitted in your jurisdiction.
No: Several communities have adopted inclusionary policies through methods other than zoning code amendments. This may be by resolution of municipal council or executive order of the mayor, for example. The decision to adopt inclusionary housing as an ordinance or through resolution should be based on the following:
- If the inclusionary program is to be of limited duration and impact (e.g. applied only to select developments or areas), then a resolution may be appropriate.
- If the inclusionary program is of extended duration and universal impact, then it should be adopted through ordinance.
While adopting a policy as an ordinance can be a cumbersome process, it is less subject to changes due to near-term political shifts and changing priorities of municipal officials. It also provides certainty to developers because the regulations are codified as law with defined requirements and application.
Boston, Massachusetts is one example of an inclusionary development policy that has been adopted by executive order. The policy was first adopted through an executive order of the mayor in the year 2000, requiring a 10 percent affordability component in any residential project of 10 or more units that is financed by or developed on property owned by the city or the Boston Redevelopment Authority (BRA), or where zoning relief is requested. The city is currently in the process of amending their zoning code to incorporate inclusionary zoning to (1) increase developer certainty in its implementation and application and (2) make it a permanent ordinance rather than an executive order that is easily changed by political shifts.